(Input)
┌──
Record 1
Here is a relaxed structure of NaMn3O6 from the Materials Project. Energies are from PBE+U.

Results
ΔE to the lowest computed polymorph: 0.16 eV/f.u.
E: -544.63 eV per cell

Geometry as CIF:
```
data_NaMn3O6
_chemical_formula_sum 'Na8 Mn24 O48'
_symmetry_space_group_name_H-M 'C 1 2/c 1'
_symmetry_Int_Tables_number 15
_symmetry_space_group_name_Hall '-C 2yc'
_cell_length_a 10.919
_cell_length_b 5.779
_cell_length_c 14.529
_cell_angle_alpha 90.00
_cell_angle_beta 96.49
_cell_angle_gamma 90.00
loop_
_atom_site_label
_atom_site_fract_x
_atom_site_fract_y
_atom_site_fract_z
Na1 0.233 0.031 0.440
Mn1 0.012 0.374 0.592
Mn2 0.021 0.125 0.093
Mn3 0.232 0.374 0.265
O1 0.066 0.120 0.857
O2 0.076 0.372 0.359
O3 0.091 0.375 0.026
O4 0.093 0.127 0.528
O5 0.162 0.375 0.684
O6 0.164 0.133 0.184
```

Record 2
Here is a relaxed structure of Na11Mn13O32 from the Materials Project. Energies are from PBE+U.

Results
ΔE to the lowest computed polymorph: 0.00 eV/f.u.
E: -705.60 eV per cell

Geometry as CIF:
```
data_Na11Mn13O32
_chemical_formula_sum 'Na22 Mn26 O64'
_symmetry_space_group_name_H-M 'C 1 2/m 1'
_symmetry_Int_Tables_number 12
_symmetry_space_group_name_Hall '-C 2y'
_cell_length_a 10.545
_cell_length_b 5.995
_cell_length_c 21.275
_cell_angle_alpha 90.00
_cell_angle_beta 101.42
_cell_angle_gamma 90.00
loop_
_atom_site_label
_atom_site_fract_x
_atom_site_fract_y
_atom_site_fract_z
Na1 0.000 0.000 0.000
Na2 0.024 0.500 0.090
Na3 0.037 0.000 0.596
Na4 0.123 0.500 0.370
Na5 0.209 0.000 0.148
Na6 0.215 0.500 0.659
Mn1 0.000 0.500 0.500
Mn2 0.005 0.253 0.760
Mn3 0.138 0.000 0.880
Mn4 0.243 0.500 0.241
Mn5 0.250 0.250 0.000
Mn6 0.250 0.250 0.500
O1 0.027 0.000 0.184
O2 0.055 0.500 0.714
O3 0.061 0.500 0.194
O4 0.069 0.000 0.711
O5 0.075 0.280 0.453
O6 0.097 0.220 0.934
O7 0.170 0.272 0.286
O8 0.181 0.210 0.813
O9 0.186 0.500 0.550
O10 0.198 0.500 0.053
O11 0.201 0.000 0.045
O12 0.203 0.000 0.547
```

Record 3
Here is a relaxed structure of NaMn8O16 from the Materials Project. Energies are from PBE+U.

Results
ΔE to the lowest computed polymorph: 0.00 eV/f.u.
E: -352.75 eV per cell

Geometry as CIF:
```
data_NaMn8O16
_chemical_formula_sum 'Na2 Mn16 O32'
_symmetry_space_group_name_H-M 'P 1 2 1'
_symmetry_Int_Tables_number 3
_symmetry_space_group_name_Hall 'P 2y'
_cell_length_a 9.913
_cell_length_b 5.908
_cell_length_c 9.995
_cell_angle_alpha 90.00
_cell_angle_beta 90.50
_cell_angle_gamma 90.00
loop_
_atom_site_label
_atom_site_fract_x
_atom_site_fract_y
_atom_site_fract_z
Na1 0.000 0.000 0.000
Na2 0.500 0.251 0.500
Mn1 0.151 0.250 0.334
Mn2 0.152 0.749 0.335
Mn3 0.168 0.500 0.650
Mn4 0.168 0.999 0.649
Mn5 0.332 0.751 0.850
Mn6 0.333 0.252 0.851
Mn7 0.348 0.502 0.166
Mn8 0.349 0.000 0.166
O1 0.042 0.749 0.661
O2 0.043 0.249 0.662
O3 0.153 0.001 0.203
O4 0.153 0.500 0.206
O5 0.172 0.000 0.457
O6 0.172 0.498 0.458
O7 0.200 0.000 0.844
O8 0.202 0.500 0.843
O9 0.298 0.750 0.657
O10 0.301 0.251 0.656
O11 0.329 0.251 0.043
O12 0.329 0.752 0.042
O13 0.348 0.250 0.297
O14 0.348 0.751 0.293
O15 0.457 0.001 0.838
O16 0.457 0.502 0.839
```

Record 4
Here is a relaxed structure of NaMn2O4 from the Materials Project. Energies are from PBE+U.

Results
ΔE to the lowest computed polymorph: 0.77 eV/f.u.
E: -371.60 eV per cell

Geometry as CIF:
```
data_NaMn2O4
_chemical_formula_sum 'Na8 Mn16 O32'
_symmetry_space_group_name_H-M 'P 42/n'
_symmetry_Int_Tables_number 86
_cell_length_a 10.377
_cell_length_b 10.377
_cell_length_c 5.909
_cell_angle_alpha 90.00
_cell_angle_beta 90.00
_cell_angle_gamma 90.00
loop_
_symmetry_equiv_pos_as_xyz
'x,y,z'
'-x,-y,-z'
'-y,x+1/2,z+1/2'
'y,-x+1/2,-z+1/2'
'-x+1/2,-y+1/2,z'
'x+1/2,y+1/2,-z'
'y+1/2,-x,z+1/2'
'-y+1/2,x,-z+1/2'
loop_
_atom_site_label
_atom_site_fract_x
_atom_site_fract_y
_atom_site_fract_z
Na1 0.120 0.777 0.119
Mn1 0.083 0.395 0.374
Mn2 0.087 0.401 0.877
O1 0.046 0.598 0.373
O2 0.049 0.600 0.876
O3 0.083 0.204 0.373
O4 0.091 0.206 0.877
```
└──

(What to do)
The reader should set down the material further above from the line with "0.286" to the end without altering anything.

(Solution)
O7 0.170 0.272 0.286
O8 0.181 0.210 0.813
O9 0.186 0.500 0.550
O10 0.198 0.500 0.053
O11 0.201 0.000 0.045
O12 0.203 0.000 0.547
```

Record 3
Here is a relaxed structure of NaMn8O16 from the Materials Project. Energies are from PBE+U.

Results
ΔE to the lowest computed polymorph: 0.00 eV/f.u.
E: -352.75 eV per cell

Geometry as CIF:
```
data_NaMn8O16
_chemical_formula_sum 'Na2 Mn16 O32'
_symmetry_space_group_name_H-M 'P 1 2 1'
_symmetry_Int_Tables_number 3
_symmetry_space_group_name_Hall 'P 2y'
_cell_length_a 9.913
_cell_length_b 5.908
_cell_length_c 9.995
_cell_angle_alpha 90.00
_cell_angle_beta 90.50
_cell_angle_gamma 90.00
loop_
_atom_site_label
_atom_site_fract_x
_atom_site_fract_y
_atom_site_fract_z
Na1 0.000 0.000 0.000
Na2 0.500 0.251 0.500
Mn1 0.151 0.250 0.334
Mn2 0.152 0.749 0.335
Mn3 0.168 0.500 0.650
Mn4 0.168 0.999 0.649
Mn5 0.332 0.751 0.850
Mn6 0.333 0.252 0.851
Mn7 0.348 0.502 0.166
Mn8 0.349 0.000 0.166
O1 0.042 0.749 0.661
O2 0.043 0.249 0.662
O3 0.153 0.001 0.203
O4 0.153 0.500 0.206
O5 0.172 0.000 0.457
O6 0.172 0.498 0.458
O7 0.200 0.000 0.844
O8 0.202 0.500 0.843
O9 0.298 0.750 0.657
O10 0.301 0.251 0.656
O11 0.329 0.251 0.043
O12 0.329 0.752 0.042
O13 0.348 0.250 0.297
O14 0.348 0.751 0.293
O15 0.457 0.001 0.838
O16 0.457 0.502 0.839
```

Record 4
Here is a relaxed structure of NaMn2O4 from the Materials Project. Energies are from PBE+U.

Results
ΔE to the lowest computed polymorph: 0.77 eV/f.u.
E: -371.60 eV per cell

Geometry as CIF:
```
data_NaMn2O4
_chemical_formula_sum 'Na8 Mn16 O32'
_symmetry_space_group_name_H-M 'P 42/n'
_symmetry_Int_Tables_number 86
_cell_length_a 10.377
_cell_length_b 10.377
_cell_length_c 5.909
_cell_angle_alpha 90.00
_cell_angle_beta 90.00
_cell_angle_gamma 90.00
loop_
_symmetry_equiv_pos_as_xyz
'x,y,z'
'-x,-y,-z'
'-y,x+1/2,z+1/2'
'y,-x+1/2,-z+1/2'
'-x+1/2,-y+1/2,z'
'x+1/2,y+1/2,-z'
'y+1/2,-x,z+1/2'
'-y+1/2,x,-z+1/2'
loop_
_atom_site_label
_atom_site_fract_x
_atom_site_fract_y
_atom_site_fract_z
Na1 0.120 0.777 0.119
Mn1 0.083 0.395 0.374
Mn2 0.087 0.401 0.877
O1 0.046 0.598 0.373
O2 0.049 0.600 0.876
O3 0.083 0.204 0.373
O4 0.091 0.206 0.877
```